Deconstructing from the Enneagram

Anna Rose
6 min readMar 10, 2022

The word “Deconstructing” is a powerful word especially in the Christian world. Deconstructing means to analyze something in order to expose it’s hidden or internal assumptions. In the Christian world, “deconstructing from faith” means to question, doubt and ultimately reject aspects of the Christian faith. With this term defined, its leads me to my main point. I am writing to expose the Enneagram for what it really is. I am writing to share my “Enneagram story” and how I have come to deconstruct it. Ultimately, I am writing to help others see the truth about the enneagram and pull the wool from their eyes.

Photo by Ioana Casapu on Unsplash

I’ll begin with my story. About 3 years ago was when I first heard about the Enneagram. I have always been interested in personalities and how and why people behave. Psychology and human behavior was a subject that I easily understood and was fascinated by. In school, we would take personality tests and read books on how to grow as a better person, or a better Christian. However, the enneagram was never one we did in school. That was something I found on my own. So, by nature, I gravitated towards this new personality test. I quickly identified as one of the numbers (9w8) and started down a 3-year long path of research, teaching, and persuading everyone I knew that the enneagram would change their life.

********
# 1
# TbCe3Dy3S8 (PBE, optimized geometry)
data_TbCe3Dy3S8
_cell_length_a 7.8844
_cell_length_b 7.8844
_cell_length_c 19.6325
_cell_angle_alpha 90.00
_cell_angle_beta 90.00
_cell_angle_gamma 120.00
_symmetry_space_group_name_H-M 'R -3 m'
_symmetry_Int_Tables_number 166
_symmetry_space_group_name_Hall '-R 3 2"'
loop_
_atom_site_label
_atom_site_type_symbol
_atom_site_fract_x
_atom_site_fract_y
_atom_site_fract_z
Tb1 Tb 0.0000 0.0000 0.0000
Ce1 Ce 0.0000 0.5000 0.5000
Dy1 Dy 0.0000 0.5000 0.0000
S1 S 0.0000 0.0000 0.2539
S2 S 0.0027 0.5014 0.2532
# Uncorrected energy in eV/atom: -6.67
# V in Å³/atom: 23.5

# 2
# TbCe4Dy3S8 (PBE, optimized geometry)
data_TbCe4Dy3S8
_cell_length_a 7.9033
_cell_length_b 7.9033
_cell_length_c 19.5917
_cell_angle_alpha 90.00
_cell_angle_beta 90.00
_cell_angle_gamma 120.00
_symmetry_space_group_name_H-M 'R -3 m'
_symmetry_Int_Tables_number 166
_symmetry_space_group_name_Hall '-R 3 2"'
loop_
_atom_site_label
_atom_site_type_symbol
_atom_site_fract_x
_atom_site_fract_y
_atom_site_fract_z
Tb1 Tb 0.0000 0.0000 0.0000
Ce1 Ce 0.0000 0.0000 0.5000
Ce2 Ce 0.0000 0.5000 0.5000
Dy1 Dy 0.0000 0.5000 0.0000
S1 S 0.0000 0.0000 0.2539
S2 S 0.0010 0.5005 0.2536
# Uncorrected energy in eV/atom: -6.73
# V in Å³/atom: 22.1

# 3
# TbCeDy2S6 (PBE, optimized geometry)
data_TbCeDy2S6
_cell_length_a 7.0013
_cell_length_b 7.0013
_cell_length_c 18.5929
_cell_angle_alpha 90.00
_cell_angle_beta 90.00
_cell_angle_gamma 120.00
_symmetry_space_group_name_H-M 'R 3'
_symmetry_Int_Tables_number 146
_symmetry_space_group_name_Hall 'R 3'
loop_
_atom_site_label
_atom_site_type_symbol
_atom_site_fract_x
_atom_site_fract_y
_atom_site_fract_z
Tb1 Tb 0.0000 0.0000 0.0000
Ce1 Ce 0.0000 0.0000 0.4959
Dy1 Dy 0.0000 0.0000 0.2027
Dy2 Dy 0.0000 0.0000 0.6999
S1 S 0.0334 0.3618 0.2691
S2 S 0.0490 0.6860 0.7687
# Uncorrected energy in eV/atom: -6.48
# V in Å³/atom: 26.3

# 4
# Tb2Ce3DyS6 (PBE, optimized geometry)
data_Tb2Ce3DyS6
_cell_length_a 6.849
_cell_length_b 11.875
_cell_length_c 6.936
_cell_angle_alpha 90.00
_cell_angle_beta 109.26
_cell_angle_gamma 90.00
_symmetry_space_group_name_H-M 'C 1 2/m 1'
_symmetry_Int_Tables_number 12
loop_
_symmetry_equiv_pos_as_xyz
'x,y,z'
'-x,-y,-z'
'-x,y,-z'
'x,-y,z'
'x+1/2,y+1/2,z'
'-x+1/2,-y+1/2,-z'
'-x+1/2,y+1/2,-z'
'x+1/2,-y+1/2,z'
loop_
_atom_site_label
_atom_site_type_symbol
_atom_site_fract_x
_atom_site_fract_y
_atom_site_fract_z
Tb1 Tb 0.000 0.167 0.000
Ce1 Ce 0.000 0.000 0.500
Ce2 Ce 0.000 0.333 0.500
Dy1 Dy 0.000 0.500 0.000
S1 S 0.246 0.334 0.239
S2 S 0.248 0.000 0.240
# Uncorrected energy in eV/atom: -6.74
# V in Å³/atom: 22.2

# 5
# Tb4CeDy3S8 (PBE, optimized geometry)
data_Tb4CeDy3S8
_cell_length_a 7.8620
_cell_length_b 7.8620
_cell_length_c 19.2406
_cell_angle_alpha 90.00
_cell_angle_beta 90.00
_cell_angle_gamma 120.00
_symmetry_space_group_name_H-M 'R -3 m'
_symmetry_Int_Tables_number 166
_symmetry_space_group_name_Hall '-R 3 2"'
loop_
_atom_site_label
_atom_site_type_symbol
_atom_site_fract_x
_atom_site_fract_y
********

The thing with the Enneagram is that it claims to show you what your identity is. It also claims to show you how you can grow as a better person. As someone who is hesitant to accept challenge but loves growing in all areas, I dove headfirst into the enneagram. I read almost every enneagram website, article, book, and took almost every test online just to make sure I was correctly identified. I followed enneagram experts on social media, posted tons of enneagram content on my pages so everyone would know what my personality type was, and obviously downloaded all of Sleeping At Last enneagram music. I went around classifying people as certain numbers based on little to no interaction with them. One would say I was obsessed with the enneagram.

However, the overarching concept that drove my love for the enneagram was that there was a “Christian perspective” of this personality test (Notice to quotations”). All I had to hear was that one person wrote a book about the enneagram from a “Christian perspective” and I was sold. No questions asked, I took the enneagram as gospel. This might seem over the top, but I was not the only one who thought this way.

So, after a few years of gaining all the knowledge that I could about the enneagram, I sort of forgot about it. What was there left for me to learn? I stopped “following” the enneagram. Not because I didn’t believe it in anymore, but just because I wasn’t obsessed with it like I was at the beginning (#Honeymoon phase over). About a year ago I started to see some posts about the enneagram and how it wasn’t what it seemed. This is where my deconstructing started.

Photo by eleonora on Unsplash

If you know me, you know I love learning about different religions, cults, churches, and anything occult like. I regularly listen to a podcast called Cultish where they talk about things that are “cult like” and give a true Christian perspective (notice my lack of quotations) on topics. In 2020, Cultish released a podcast series called “Decoding The Enneagram”. I avoided listening to this podcast for almost a year. I knew that if this podcast was talking about the enneagram, I would find out that I was wrong, and that the enneagram is not what it seems. While avoiding this podcast, I was convicted. I knew that I was avoiding it because my precious enneagram would disappear. All my years of research and pushing the enneagram on others would soon be one of my biggest regrets.

Over the past month I have finally deconstructed from the enneagram. I listened to that podcast (which will be linked below) and have read other articles on how the enneagram is not what it seems. It is not a personality test. There can be no “Christian perspective” on it because it was never meant for Christians to use to grow in their faith and grow to become more like Christ. The enneagram fad that has taken the world and the Christian church by storm is a lie and is deceiving all who align with it. The only way I can explain my reasoning is through the history of the enneagram. Below is information that I got from an article written by Cultish. (The article is linked below)

Photo by Oscar Keys on Unsplash

The enneagram was created by George Gurdjieff who was a Greek-Armenian mystic and spiritual guru. He is credited for his work in self-realization and the one-ness with the self. Gurdjieff claims that one is asleep to “self” but can be awakened through meditation in which you can be able to analyze your various “egos”. Gurdjieff was an esoteric (having an inner or secret meaning) teacher who was interested in diagrams and symbols. He created the first nine-sided diagram inscribed inside a circle (sound familiar) but did not contain “personality types”. To Gurdjieff, this enneagram diagram contained all knowledge that was held within the cosmos. He believed that all knowledge was held inside the enneagram and with its help, it can be interpreted. Secret laws of the universe could be seen in his diagram. The enneagram was created by an Esoteric Mysticism/Spiritual Guru.

As the enneagram was passed down to his followers, there was still never personality types or temperaments detailed in the writings. However, in 1956, a student of these teachers linked personality types to an enneagram. They took the view that personality is fixed by the positions of the planets at birth, but they arranged them around the enneagram. It was claimed that once you know your planetary personality type, you can improve yourself. This leads us to how the enneagram took on personalities.

Oscar Ichazo was a man who ran an occultic school is Chile. He took on these enneagram teachings and added different concepts to the enneagram. Ichazo’s influence on the enneagram came from his encounter with two spirits. Oscar was involved in psychedelic drugs and during one of his trips guided by a spiritual master, he came in contact with these spirits. Ichazo’s origins of ego fixations are from a higher source, from inspiration, and from revelation. Not from any historical or factual evidence. I won’t go into any detail about this but linked below is an article where this information is from. So, what are Christians to do about this?

Photo by Joshua Eckstein on Unsplash

The historic origins of the enneagram are esoteric, Gnosticism, and occultism from channeled material gained from automatic writing and psychedelic trips. Satan brings sin in quietly. He knows how to work the church. And now, the enneagram is loved by churches and devout Christians. I was one of those who fell for Satan’s tricks. Once he got to me all he had to do was sit back and wait for me to do all the work for him. Now I am standing up and calling out the lies of the enneagram. I am calling out those Christians who are aligning with it. It took me years to get here, and I am praying that the Holy Spirt convicts you like it did to me. There is no need for the enneagram, the word of God is all we need to be complete. Christians shouldn’t be trying to find their “true-selves”, we are told to die to ourselves. So Christian, find yourself in the identity of the Lord, and not the identity of this world.

